[Brief]
The reader should give back everything underneath without altering anything.
[Listing]
=====
Computed, not measured: a relaxed structure of ZrPaPO at the PBE level of DFT.

Cell lengths 4.1905, 4.1905, 8.0674 Å; angles 90.00, 90.00, 90.00 degrees
Element x y z (fractional)
Zr 0.2500 0.2500 0.1019
Zr 0.7500 0.7500 0.8981
Pa 0.2500 0.7500 0.5000
Pa 0.7500 0.2500 0.5000
P 0.2500 0.2500 0.7421
P 0.7500 0.7500 0.2579
O 0.2500 0.7500 0.0000
O 0.7500 0.2500 0.0000

Values from the calculation:
Distance to the lowest polymorph of the same formula: 0.643 eV per atom
SG: No. 129
Energy: -7.95 eV/atom
Magnetic moment: 0.45 μB per formula unit

~~~~~

The following is a DFT calculation (GGA-PBE) of a relaxed structure of AlTlPt2. Values from VASP.

The formation energy is -0.2 eV per formula unit. Its energy above the most stable polymorph in this dataset is 483 meV per atom. As for the symmetry: F-43m, No. 216. The density of states at the Fermi level is 2.9 states/eV per cell. As for the magnetization: 0.00 μB/f.u.

```
&SYSTEM
  ibrav = 0, nat = 4, ntyp = 3
/
ATOMIC_SPECIES
Tl 204.38 Tl.upf
Al 26.98 Al.upf
Pt 195.08 Pt.upf
CELL_PARAMETERS angstrom
-0.542 -4.576 0.363
3.342 -2.845 -1.449
2.496 -2.386 3.072
ATOMIC_POSITIONS crystal
Tl 0.750 0.750 0.750
Al 0.500 0.500 0.500
Pt 0.000 0.000 0.000
Pt 0.250 0.250 0.250
```

~~~~~

(1)
The following is a DFT calculation (PBE) of a geometry-optimized MgAg2W structure.

Cell lengths 2.7822, 5.0204, 10.0845 Å; angles 90.00, 90.00, 90.00 degrees
Last column: nearest neighbours and their distance in Å.
Space group Imm2 (No. 44)
Asymmetric unit:
Mg  0.0000  0.0000  0.0000 (multiplicity 2)  2 Mg 2.78, 6 Ag 2.84-2.87, 2 W 2.95
Ag  0.0000  0.0000  0.5071 (multiplicity 2)  4 Ag 2.78-2.86, 4 Mg 2.87, 2 W 2.87
Ag  0.0000  0.5000  0.2550 (multiplicity 2)  4 Ag 2.78-2.86, 2 Mg 2.84, 4 W 2.87
W  0.0000  0.5000  0.7577 (multiplicity 2)  2 W 2.78, 6 Ag 2.87, 2 Mg 2.95

The total energy comes out at -4.549 eV/atom. The calculation puts the theoretical density at 10.0 g cm⁻³. Its formation energy is 0.51 eV per atom.



(2)
The following is a DFT calculation (PBE) of a geometry-optimized Zr3Hg2Pd8 structure.

Cell lengths 5.3242, 5.3242, 29.9116 Å; angles 90.00, 90.00, 120.00 degrees
Last column: nearest neighbours and their distance in Å.
Space group R-3m (No. 166, hexagonal axes)
Asymmetric unit:
Zr  0.0000  0.0000  0.0000 (multiplicity 3)  6 Hg 3.22, 6 Pd 3.51
Zr  0.0000  0.0000  0.1890 (multiplicity 6)  10 Pd 2.62-2.85
Hg  0.0000  0.0000  0.3652 (multiplicity 6)  4 Pd 2.65-2.81
Pd  0.0000  0.0000  0.2766 (multiplicity 6)  1 Zr 2.62, 1 Hg 2.65
Pd  0.0007  0.5003  0.7769 (multiplicity 18)  4 Pd 2.66-2.67, 1 Hg 2.81, 3 Zr 2.81-2.85

The total energy comes out at -5.534 eV/atom. The calculation puts the theoretical density at 10.4 g cm⁻³. Its formation energy is -0.32 eV per atom.



(3)
The following is a DFT calculation (PBE) of a geometry-optimized Ac3AlIn2Pd6 structure.

Cell lengths 5.9942, 5.9942, 9.0268 Å; angles 90.00, 90.00, 120.00 degrees
Last column: nearest neighbours and their distance in Å.
Space group P-3m1 (No. 164)
Asymmetric unit:
Ac  0.0000  0.0000  0.0000 (multiplicity 1)  6 Pd 3.23, 6 In 3.48
Ac  0.3333  0.6667  0.6321 (multiplicity 2)  6 Pd 3.06
Al  0.0000  0.0000  0.5000 (multiplicity 1)  6 Pd 2.55
In  0.3333  0.6667  0.0365 (multiplicity 2)  3 Pd 2.89
Pd  0.1725  0.3449  0.2983 (multiplicity 6)  1 Al 2.55

The total energy comes out at -5.126 eV/atom. The calculation puts the theoretical density at 9.3 g cm⁻³. Its formation energy is -0.73 eV per atom.

~~~~~

GGA+U Li2VZnF6, relaxed; E_tot = -50.43 eV for the cell shown; magnetic moment = 0.3000 μB/atom; crystal system = trigonal; SG = No. 146
1.0
5.223 -0.001 0.000
2.611 4.523 0.001
2.611 1.509 4.746
F Li V Zn
6 2 1 1
Cartesian
4.395 1.422 1.229
7.017 3.097 1.228
6.041 1.651 3.619
4.257 4.529 1.231
5.995 4.409 3.620
3.628 2.990 3.621
2.610 1.507 4.367
5.223 3.015 2.073
7.834 4.524 2.577
2.611 1.508 0.246

---
=====
[Worked solution]
Computed, not measured: a relaxed structure of ZrPaPO at the PBE level of DFT.

Cell lengths 4.1905, 4.1905, 8.0674 Å; angles 90.00, 90.00, 90.00 degrees
Element x y z (fractional)
Zr 0.2500 0.2500 0.1019
Zr 0.7500 0.7500 0.8981
Pa 0.2500 0.7500 0.5000
Pa 0.7500 0.2500 0.5000
P 0.2500 0.2500 0.7421
P 0.7500 0.7500 0.2579
O 0.2500 0.7500 0.0000
O 0.7500 0.2500 0.0000

Values from the calculation:
Distance to the lowest polymorph of the same formula: 0.643 eV per atom
SG: No. 129
Energy: -7.95 eV/atom
Magnetic moment: 0.45 μB per formula unit

~~~~~

The following is a DFT calculation (GGA-PBE) of a relaxed structure of AlTlPt2. Values from VASP.

The formation energy is -0.2 eV per formula unit. Its energy above the most stable polymorph in this dataset is 483 meV per atom. As for the symmetry: F-43m, No. 216. The density of states at the Fermi level is 2.9 states/eV per cell. As for the magnetization: 0.00 μB/f.u.

```
&SYSTEM
  ibrav = 0, nat = 4, ntyp = 3
/
ATOMIC_SPECIES
Tl 204.38 Tl.upf
Al 26.98 Al.upf
Pt 195.08 Pt.upf
CELL_PARAMETERS angstrom
-0.542 -4.576 0.363
3.342 -2.845 -1.449
2.496 -2.386 3.072
ATOMIC_POSITIONS crystal
Tl 0.750 0.750 0.750
Al 0.500 0.500 0.500
Pt 0.000 0.000 0.000
Pt 0.250 0.250 0.250
```

~~~~~

(1)
The following is a DFT calculation (PBE) of a geometry-optimized MgAg2W structure.

Cell lengths 2.7822, 5.0204, 10.0845 Å; angles 90.00, 90.00, 90.00 degrees
Last column: nearest neighbours and their distance in Å.
Space group Imm2 (No. 44)
Asymmetric unit:
Mg  0.0000  0.0000  0.0000 (multiplicity 2)  2 Mg 2.78, 6 Ag 2.84-2.87, 2 W 2.95
Ag  0.0000  0.0000  0.5071 (multiplicity 2)  4 Ag 2.78-2.86, 4 Mg 2.87, 2 W 2.87
Ag  0.0000  0.5000  0.2550 (multiplicity 2)  4 Ag 2.78-2.86, 2 Mg 2.84, 4 W 2.87
W  0.0000  0.5000  0.7577 (multiplicity 2)  2 W 2.78, 6 Ag 2.87, 2 Mg 2.95

The total energy comes out at -4.549 eV/atom. The calculation puts the theoretical density at 10.0 g cm⁻³. Its formation energy is 0.51 eV per atom.



(2)
The following is a DFT calculation (PBE) of a geometry-optimized Zr3Hg2Pd8 structure.

Cell lengths 5.3242, 5.3242, 29.9116 Å; angles 90.00, 90.00, 120.00 degrees
Last column: nearest neighbours and their distance in Å.
Space group R-3m (No. 166, hexagonal axes)
Asymmetric unit:
Zr  0.0000  0.0000  0.0000 (multiplicity 3)  6 Hg 3.22, 6 Pd 3.51
Zr  0.0000  0.0000  0.1890 (multiplicity 6)  10 Pd 2.62-2.85
Hg  0.0000  0.0000  0.3652 (multiplicity 6)  4 Pd 2.65-2.81
Pd  0.0000  0.0000  0.2766 (multiplicity 6)  1 Zr 2.62, 1 Hg 2.65
Pd  0.0007  0.5003  0.7769 (multiplicity 18)  4 Pd 2.66-2.67, 1 Hg 2.81, 3 Zr 2.81-2.85

The total energy comes out at -5.534 eV/atom. The calculation puts the theoretical density at 10.4 g cm⁻³. Its formation energy is -0.32 eV per atom.



(3)
The following is a DFT calculation (PBE) of a geometry-optimized Ac3AlIn2Pd6 structure.

Cell lengths 5.9942, 5.9942, 9.0268 Å; angles 90.00, 90.00, 120.00 degrees
Last column: nearest neighbours and their distance in Å.
Space group P-3m1 (No. 164)
Asymmetric unit:
Ac  0.0000  0.0000  0.0000 (multiplicity 1)  6 Pd 3.23, 6 In 3.48
Ac  0.3333  0.6667  0.6321 (multiplicity 2)  6 Pd 3.06
Al  0.0000  0.0000  0.5000 (multiplicity 1)  6 Pd 2.55
In  0.3333  0.6667  0.0365 (multiplicity 2)  3 Pd 2.89
Pd  0.1725  0.3449  0.2983 (multiplicity 6)  1 Al 2.55

The total energy comes out at -5.126 eV/atom. The calculation puts the theoretical density at 9.3 g cm⁻³. Its formation energy is -0.73 eV per atom.

~~~~~

GGA+U Li2VZnF6, relaxed; E_tot = -50.43 eV for the cell shown; magnetic moment = 0.3000 μB/atom; crystal system = trigonal; SG = No. 146
1.0
5.223 -0.001 0.000
2.611 4.523 0.001
2.611 1.509 4.746
F Li V Zn
6 2 1 1
Cartesian
4.395 1.422 1.229
7.017 3.097 1.228
6.041 1.651 3.619
4.257 4.529 1.231
5.995 4.409 3.620
3.628 2.990 3.621
2.610 1.507 4.367
5.223 3.015 2.073
7.834 4.524 2.577
2.611 1.508 0.246

---